I’m always a little skeptical of new drugs and treatments that come out for pregnant women because you never know the long term side effects. For example, the
Misplaced data records.
The following is a PBE calculation of crystalline Zn2P3H19C4N2O12 at its relaxed geometry, from the Materials Project database.

CIF file:
```
data_Zn2P3H19C4N2O12
_chemical_formula_sum 'Zn8 P12 H76 C16 N8 O48'
_space_group_name_H-M_alt 'P 1'
_space_group_IT_number 1
_cell_length_a 19.558
_cell_length_b 9.872
_cell_length_c 9.960
_cell_angle_alpha 99.30
_cell_angle_beta 119.37
_cell_angle_gamma 89.99
loop_
_space_group_symop_operation_xyz
'x,y,z'
loop_
_atom_site_label
_atom_site_fract_x
_atom_site_fract_y
_atom_site_fract_z
H1 0.465 0.959 0.292
H2 0.054 0.908 0.609
H3 0.537 0.038 0.714
H4 0.249 0.888 0.147
H5 0.665 0.617 0.240
H6 0.180 0.890 0.822
H7 0.229 0.692 0.788
H8 0.320 0.110 0.178
H9 0.731 0.390 0.822
H10 0.248 0.592 0.386
H11 0.734 0.695 0.792
H12 0.938 0.645 0.127
H13 0.455 0.115 0.238
H14 0.556 0.906 0.611
H15 0.810 0.518 0.945
H16 0.347 0.440 0.344
H17 0.446 0.092 0.391
H18 0.337 0.980 0.054
H19 0.125 0.145 0.126
H20 0.818 0.539 0.705
H21 0.994 0.534 0.999
H22 0.252 0.408 0.614
H23 0.271 0.308 0.212
H24 0.675 0.062 0.657
H25 0.172 0.607 0.850
H26 0.153 0.560 0.656
H27 0.665 0.019 0.948
H28 0.766 0.305 0.208
H29 0.251 0.112 0.853
H30 0.321 0.540 0.716
H31 0.163 0.616 0.231
H32 0.835 0.809 0.210
H33 0.818 0.113 0.174
H34 0.944 0.094 0.389
H35 0.309 0.522 0.949
H36 0.963 0.962 0.286
H37 0.338 0.805 0.209
H38 0.751 0.594 0.393
H39 0.004 0.034 0.999
H40 0.056 0.364 0.880
H41 0.328 0.393 0.150
H42 0.747 0.893 0.148
H43 0.268 0.612 0.172
H44 0.035 0.041 0.708
H45 0.825 0.938 0.343
H46 0.953 0.119 0.234
H47 0.496 0.966 0.001
H48 0.655 0.569 0.658
H49 0.179 0.460 0.284
H50 0.845 0.431 0.342
H51 0.824 0.388 0.146
H52 0.753 0.107 0.852
H53 0.616 0.136 0.119
H54 0.444 0.636 0.120
H55 0.682 0.887 0.826
H56 0.163 0.020 0.946
H57 0.690 0.482 0.055
H58 0.835 0.383 0.760
H59 0.562 0.355 0.873
H60 0.232 0.388 0.828
H61 0.835 0.981 0.052
H62 0.191 0.478 0.051
H63 0.375 0.855 0.874
H64 0.506 0.466 0.001
H65 0.162 0.195 0.791
H66 0.045 0.885 0.762
H67 0.327 0.932 0.343
H68 0.682 0.461 0.295
H69 0.769 0.610 0.178
H70 0.749 0.406 0.607
H71 0.337 0.384 0.769
H72 0.665 0.191 0.790
H73 0.547 0.881 0.766
H74 0.884 0.864 0.881
H75 0.173 0.068 0.657
H76 0.676 0.612 0.854
O1 0.438 0.424 0.623
O2 0.471 0.266 0.149
O3 0.475 0.874 0.009
O4 0.229 0.818 0.499
O5 0.473 0.679 0.489
O6 0.937 0.425 0.616
O7 0.127 0.077 0.378
O8 0.319 0.847 0.787
O9 0.926 0.655 0.214
O10 0.396 0.234 0.851
O11 0.072 0.352 0.797
O12 0.563 0.575 0.384
O13 0.673 0.149 0.203
O14 0.660 0.329 0.403
O15 0.029 0.734 0.851
O16 0.341 0.669 0.597
O17 0.025 0.126 0.991
O18 0.970 0.267 0.149
O19 0.605 0.767 0.150
O20 0.827 0.851 0.797
O21 0.871 0.926 0.617
O22 0.840 0.671 0.597
O23 0.428 0.648 0.203
O24 0.159 0.331 0.403
O25 0.523 0.118 0.988
O26 0.043 0.831 0.404
O27 0.457 0.169 0.596
O28 0.895 0.233 0.850
O29 0.472 0.618 0.990
O30 0.028 0.382 0.010
O31 0.542 0.829 0.403
O32 0.062 0.576 0.377
O33 0.771 0.180 0.489
O34 0.530 0.733 0.851
O35 0.373 0.923 0.622
O36 0.977 0.882 0.012
O37 0.969 0.625 0.991
morning sickness drug Bendectin was taken off the market in 1983 because it was later found to cause
birth defects. In a similar way, researchers are now finding that women who don’t drink enough milk during pregnancy can actually increase their child’s chances of developing multiple sclerosis during adulthood.
Materials data from another source follow:
/*
First-principles (r²SCAN) data for a relaxed structure of Rb2TmCl5, as listed in Materials Project.

Calculated values
Crystal system   orthorhombic
Total magnetic moment   0.0 μB per formula unit
VASP energy   -452.15 eV per cell
ΔE_f   -2411.5 meV/atom
SG   Pnma, No. 62

Unit cell a=7.287 b=9.328 c=14.690 alpha=90.00 beta=90.00 gamma=90.00
Fractional positions:
Cl  0.500  0.000  0.000
Cl  0.250  0.783  0.398
Rb  0.250  0.969  0.209
Cl  0.992  0.847  0.614
Tm  0.250  0.187  0.937
Tm  0.750  0.313  0.437
Rb  0.750  0.031  0.791
Rb  0.250  0.169  0.584
Cl  0.492  0.653  0.114
Cl  0.508  0.347  0.886
Rb  0.750  0.331  0.084
Cl  0.250  0.031  0.794
Rb  0.750  0.831  0.416
Cl  0.992  0.347  0.886
Rb  0.250  0.469  0.291
Cl  0.250  0.283  0.102
Cl  0.500  0.500  0.500
Cl  0.492  0.153  0.386
Cl  0.008  0.653  0.114
Cl  0.750  0.217  0.602
Tm  0.750  0.813  0.063
Cl  0.508  0.847  0.614
Cl  0.750  0.969  0.206
Tm  0.250  0.687  0.563
Rb  0.750  0.531  0.709
Cl  0.008  0.153  0.386
Rb  0.250  0.669  0.916
Cl  0.000  0.500  0.500
Cl  0.250  0.531  0.706
Cl  0.000  0.000  0.000
Cl  0.750  0.717  0.898
Cl  0.750  0.469  0.294

----------

{
  "formula": "Li6VFe5O12",
  "functional": "GGA+U",
  "state": "relaxed",
  "cell": [[0.278, -3.310, 3.853], [3.598, -3.586, 0.015], [5.246, 6.245, 5.953]],
  "species": ["O", "O", "Li", "O", "Li", "O", "Li", "Fe", "O", "O", "O", "O", "Fe", "Li", "V", "Fe", "O", "Fe", "O", "O", "Fe", "Li", "Li", "O"],
  "fractional_positions": [[0.639, 0.028, 0.113], [0.694, 0.307, 0.884], [0.948, 0.717, 0.248], [0.854, 0.134, 0.393], [0.717, 0.945, 0.752], [0.135, 0.855, 0.607], [0.290, 0.045, 0.242], [0.336, 0.336, 0.000], [0.028, 0.640, 0.887], [0.972, 0.360, 0.114], [0.794, 0.542, 0.611], [0.471, 0.204, 0.611], [0.666, 0.664, 0.000], [0.049, 0.288, 0.757], [0.000, 0.001, 0.000], [0.167, 0.171, 0.500], [0.307, 0.694, 0.116], [0.499, 0.499, 0.500], [0.359, 0.973, 0.887], [0.202, 0.471, 0.389], [0.833, 0.833, 0.500], [0.392, 0.609, 0.750], [0.605, 0.393, 0.251], [0.542, 0.791, 0.390]],
  "polymorph_energy_kj_per_mol_fu": 0.0,
  "energy_mp2020_ev_per_cell": -169.5,
  "formation_enthalpy_0k_kj_per_mol_atoms": -190.1,
  "energy_ry_per_atom": -0.45420
}


{
  "formula": "Li9Mn2Co5O16",
  "functional": "GGA+U",
  "state": "relaxed",
  "cell": [[5.071, 0.000, 0.000], [-1.680, 4.853, 0.000], [-0.221, -0.190, 11.693]],
  "species": ["O", "Mn", "O", "Co", "Mn", "Li", "Li", "O", "Li", "Li", "O", "Li", "Li", "O", "O", "O", "O", "O", "Li", "O", "Li", "Co", "Co", "O", "Li", "Co", "O", "O", "Co", "O", "O", "O"],
*/
A study presented by American Academy of Neurology found that women whose mothers consumed at least four glasses of milk a day during pregnancy were 56% less less likely to develop MS later in life than women whose mothers consumed three or fewer glasses a day. The study involved over 35 thousand mothers who filled out a questionnaire about their experiences and diet during pregnancy with their daughters. The research followed 199 women who developed MS through the 16-year study.
Dr. Fariba Mirzaei with the Harvard School of Public Health in Boston said that, “we also found the risk of MS among daughters whose mothers were in the top 20% of vitamin D intake during pregnancy was 45% lower than daughters whose mothers were in the bottom 20% for
Calculated crystals, as found in the file:
No. 1
Te2OsCl12 after structural relaxation, computed with PBE-GGA.

a = 6.7710 Å, b = 7.1538 Å, c = 11.2993 Å
α = 71.68°, β = 75.64°, γ = 62.76°
Last column: nearest neighbours and their distance in Å.
Positions (direct):
Te (0.2384, 0.2441, 0.2604)  3 Cl 2.35-2.36
Te (0.7616, 0.7559, 0.7396)  3 Cl 2.35-2.36
Os (0.5000, 0.5000, 0.5000)  6 Cl 2.34-2.35
Cl (0.0151, 0.5900, 0.1500)  1 Te 2.35
Cl (0.0730, 0.0671, 0.1998)  1 Te 2.36
Cl (0.1101, 0.6982, 0.5177)  1 Os 2.35
Cl (0.4480, 0.1806, 0.5962)  1 Os 2.35
Cl (0.4718, 0.8151, 0.9084)  1 Te 2.36
Cl (0.4909, 0.4623, 0.3031)  1 Os 2.34
Cl (0.5091, 0.5377, 0.6969)  1 Os 2.34
Cl (0.5282, 0.1849, 0.0916)  1 Te 2.36
Cl (0.5520, 0.8194, 0.4038)  1 Os 2.35
Cl (0.8899, 0.3018, 0.4823)  1 Os 2.35
Cl (0.9270, 0.9329, 0.8002)  1 Te 2.36
Cl (0.9849, 0.4100, 0.8500)  1 Te 2.35

Computed properties:
DFT formation energy: -1010.5 meV/atom
crystal system: triclinic

=====

No. 2
VOsCl after structural relaxation, computed with PBE-GGA.

a = 4.1361 Å, b = 4.1361 Å, c = 4.1361 Å
α = 60.00°, β = 60.00°, γ = 60.00°
Last column: nearest neighbours and their distance in Å.
Positions (direct):
V (0.0000, 0.0000, 0.0000)  4 Cl 2.53, 4 Os 2.53
Os (0.2500, 0.2500, 0.2500)  4 V 2.53
Cl (0.7500, 0.7500, 0.7500)  4 V 2.53

Computed properties:
DFT formation energy: 636.2 meV/atom
crystal system: cubic

----------

UNF5: optimized geometry, PBE-GGA.

```
28
Lattice="7.143 0.000 0.000 0.000 8.162 0.000 0.000 3.995 7.843" Properties=species:S:1:pos:R:3 pbc="T T T"
U 4.381 7.477 5.178
U 0.809 6.678 6.587
U 2.763 4.680 2.665
U 6.334 5.479 1.256
N 4.101 1.034 1.316
N 0.529 9.125 2.605
N 3.043 11.123 6.527
N 6.614 3.032 5.238
F 4.921 8.536 6.901
F 1.349 5.619 4.864
F 2.222 3.621 0.943
F 5.794 6.538 2.979
F 4.791 9.154 4.165
F 1.219 5.001 7.601
F 2.353 3.003 3.679
F 5.924 7.157 0.243
F 3.983 5.040 4.378
F 0.412 9.115 7.387
F 3.160 7.118 3.466
F 6.732 3.042 0.456
F 3.356 6.251 6.577
F 6.928 7.904 5.188
F 3.787 5.906 1.266
F 0.216 4.254 2.656
F 4.705 3.840 2.175
F 1.134 6.320 1.747
F 2.438 8.317 5.669
F 6.010 5.837 6.096
```

Results
* spin magnetization: 4.0 μB/f.u.
* ΔH_f (0 K): -2.480 eV/atom

----------

## HoNi2Ge2 (r2SCAN)

Data for a relaxed HoNi2Ge2 crystal.

```
HoNi2Ge2
1.0
0.0058 -3.6386 -1.7205
3.6690 -0.7025 1.4981
-3.8310 0.2782 4.1065
Ho Ni Ge
1 2 2
Cartesian
0.0000 0.0000 0.0000
-0.9939 -2.7654 1.1374
0.8377 -1.2974 2.7467
1.3245 -2.6573 0.9166
-1.4808 -1.4055 2.9675
```

Calculated values
**V**: 15.7 Å³/atom
**Uncorrected energy**: -17.627 eV/atom
**Space group**: No. 139

## HoGePd2 (r2SCAN)

Data for a relaxed HoGePd2 crystal.

```
HoGePd2
1.0
5.5611 0.0000 0.0000
0.0000 7.0701 0.0000
0.0000 0.0000 7.3335
Ho Ge Pd
4 4 8
Cartesian
0.8138 5.3026 3.8785
4.7473 1.7675 3.4550
3.5944 1.7675 7.1218
1.9667 5.3026 0.2117
4.7570 5.3026 6.4513
0.8041 1.7675 0.8822
1.9765 1.7675 4.5490
3.5847 5.3026 2.7846
3.2648 3.8987 5.0036
2.2964 3.1714 2.3299
0.4842 3.1714 5.9967
2.2964 0.3637 2.3299
5.0769 3.8987 1.3369
3.2648 6.7065 5.0036
vitamin D intake during pregnancy."
Besides the long-term health effects of drinking milk, milk and other dairy products also have short-term health benefits for you during pregnancy as well. For one, it’s a great source of calcium. In fact, by not consuming milk and other dairy products, you may lose calcium from your bones and fail meet your baby's needs for the mineral. Milk is also full of protein, which helps build up your uterus, blood supply, and helps with your baby’s tissue formation. A lack of protein can cause your child to be born underweight, and can cause other health problems as well.
The best way to meet calcium and protein requirements during pregnancy is through your diet. However, if you are unable to meet the requirements through your diet, then you can get your recommended dose through supplements. Before skipping right to supplements however, remember that milk is an important part of your diet and even if you don’t like drinking it often, it may have health benefits for your child in the long run. If you have any questions about calcium or protein, talk to your doctor today to see how you can remain as healthy as possible throughout your pregnancy.
- American Academy of Neurology (2010, February 12). Drinking milk during pregnancy may lower baby's risk of multiple sclerosis. ScienceDaily.